Assignment:
Could you retype the whole of the material further down without altering anything?

Listing:
<<<
This entry pairs a crystal structure of RbHg2H with its calculated X-ray diffraction stick pattern. Radiation: Cu Kα X-rays. Structure: a structure optimized by DFT (GGA-PBE).
Lines closer than 0.1° are merged.

Structural model:
```
data_RbHg2H
_space_group_name_H-M_alt 'P -1'
_space_group_IT_number 2
_cell_length_a 3.8300
_cell_length_b 5.9170
_cell_length_c 10.4174
_cell_angle_alpha 102.03
_cell_angle_beta 90.16
_cell_angle_gamma 108.56
loop_
_space_group_symop_operation_xyz
'x,y,z'
'-x,-y,-z'
loop_
_atom_site_label
_atom_site_fract_x
_atom_site_fract_y
_atom_site_fract_z
Rb1 0.1444 0.2849 0.1144
Hg1 0.0966 0.1927 0.7005
Hg2 0.3633 0.7282 0.5679
H1 0.4066 0.8146 0.1028
```

Top 12 peaks for 10 to 90 degrees two-theta, low angle first:
h k l  two_theta  I (rel.)
-1 1 1  26.8  38
0 1 -3  27.8  64
1 0 2  31.4  100
0 2 0  32.7  38
1 1 -1  33.6  33
1 -2 1  33.8  31
0 1 3  34.1  17
1 1 -2  35.6  40
1 -2 2  35.8  42
0 1 4  42.4  17
2 -1 0  47.5  18
0 3 -3  51.4  16

* * * * *

For Sr3SnAs4, a structure optimized by DFT (PBE) gives the computed powder X-ray diffraction pattern in this record (Cu Ka).
Peak positions follow from Bragg's law for the DFT cell and can differ from measured ones.

Crystal structure
a = 8.668 Å, b = 10.882 Å, c = 10.112 Å
α = 90.00°, β = 90.00°, γ = 90.00°
Element x y z (fractional)
Sr1 0.052 0.055 0.190
Sr2 0.052 0.445 0.190
Sr3 0.156 0.750 0.409
Sr4 0.344 0.250 0.909
Sr5 0.448 0.555 0.690
Sr6 0.448 0.945 0.690
Sr7 0.552 0.055 0.310
Sr8 0.552 0.445 0.310
Sr9 0.656 0.750 0.091
Sr10 0.844 0.250 0.591
Sr11 0.948 0.555 0.810
Sr12 0.948 0.945 0.810
Sn1 0.235 0.250 0.458
Sn2 0.265 0.750 0.958
Sn3 0.735 0.250 0.042
Sn4 0.765 0.750 0.542
As1 0.021 0.750 0.111
As2 0.130 0.032 0.542
As3 0.130 0.468 0.542
As4 0.184 0.750 0.711
As5 0.316 0.250 0.211
As6 0.370 0.532 0.042
As7 0.370 0.968 0.042
As8 0.479 0.250 0.611
As9 0.521 0.750 0.389
As10 0.630 0.032 0.958
As11 0.630 0.468 0.958
As12 0.684 0.750 0.789
As13 0.816 0.250 0.289
As14 0.870 0.532 0.458
As15 0.870 0.968 0.458
As16 0.979 0.250 0.889

Principal peaks in the range 10° ≤ 2θ ≤ 90°, by angle:
two_theta	I_rel
26.15	553
26.29	428
32.20	1000
32.92	840
33.41	442
37.62	614
>>>

Worked solution:
This entry pairs a crystal structure of RbHg2H with its calculated X-ray diffraction stick pattern. Radiation: Cu Kα X-rays. Structure: a structure optimized by DFT (GGA-PBE).
Lines closer than 0.1° are merged.

Structural model:
```
data_RbHg2H
_space_group_name_H-M_alt 'P -1'
_space_group_IT_number 2
_cell_length_a 3.8300
_cell_length_b 5.9170
_cell_length_c 10.4174
_cell_angle_alpha 102.03
_cell_angle_beta 90.16
_cell_angle_gamma 108.56
loop_
_space_group_symop_operation_xyz
'x,y,z'
'-x,-y,-z'
loop_
_atom_site_label
_atom_site_fract_x
_atom_site_fract_y
_atom_site_fract_z
Rb1 0.1444 0.2849 0.1144
Hg1 0.0966 0.1927 0.7005
Hg2 0.3633 0.7282 0.5679
H1 0.4066 0.8146 0.1028
```

Top 12 peaks for 10 to 90 degrees two-theta, low angle first:
h k l  two_theta  I (rel.)
-1 1 1  26.8  38
0 1 -3  27.8  64
1 0 2  31.4  100
0 2 0  32.7  38
1 1 -1  33.6  33
1 -2 1  33.8  31
0 1 3  34.1  17
1 1 -2  35.6  40
1 -2 2  35.8  42
0 1 4  42.4  17
2 -1 0  47.5  18
0 3 -3  51.4  16

* * * * *

For Sr3SnAs4, a structure optimized by DFT (PBE) gives the computed powder X-ray diffraction pattern in this record (Cu Ka).
Peak positions follow from Bragg's law for the DFT cell and can differ from measured ones.

Crystal structure
a = 8.668 Å, b = 10.882 Å, c = 10.112 Å
α = 90.00°, β = 90.00°, γ = 90.00°
Element x y z (fractional)
Sr1 0.052 0.055 0.190
Sr2 0.052 0.445 0.190
Sr3 0.156 0.750 0.409
Sr4 0.344 0.250 0.909
Sr5 0.448 0.555 0.690
Sr6 0.448 0.945 0.690
Sr7 0.552 0.055 0.310
Sr8 0.552 0.445 0.310
Sr9 0.656 0.750 0.091
Sr10 0.844 0.250 0.591
Sr11 0.948 0.555 0.810
Sr12 0.948 0.945 0.810
Sn1 0.235 0.250 0.458
Sn2 0.265 0.750 0.958
Sn3 0.735 0.250 0.042
Sn4 0.765 0.750 0.542
As1 0.021 0.750 0.111
As2 0.130 0.032 0.542
As3 0.130 0.468 0.542
As4 0.184 0.750 0.711
As5 0.316 0.250 0.211
As6 0.370 0.532 0.042
As7 0.370 0.968 0.042
As8 0.479 0.250 0.611
As9 0.521 0.750 0.389
As10 0.630 0.032 0.958
As11 0.630 0.468 0.958
As12 0.684 0.750 0.789
As13 0.816 0.250 0.289
As14 0.870 0.532 0.458
As15 0.870 0.968 0.458
As16 0.979 0.250 0.889

Principal peaks in the range 10° ≤ 2θ ≤ 90°, by angle:
two_theta	I_rel
26.15	553
26.29	428
32.20	1000
32.92	840
33.41	442
37.62	614